== Job ==
It remains to print the part of the entries underneath that starts with the line with "'x+1/2,y+1/2,z+1/2'" and stops after the one with "Direct".

== File ==
********
Ce3V: calculated PXRD pattern (Cu Kα, 1.54184 Å), based on a crystal structure in Alexandria, relaxed with GGA-PBE.
No peak broadening, texture or thermal motion is included.

The 10 most intense peaks (2θ = 15–90°), sorted by position:
h k l  2theta  I_rel
0 1 1  17.30  22
1 0 1  33.59  78
0 2 2  35.00  100
0 4 0  35.40  52
1 2 1  38.11  66
1 4 1  49.59  51
1 2 3  58.84  41
0 6 2  63.29  17
2 2 2  73.38  23
1 6 3  81.50  18

Structural model:
```
data_Ce3V
_chemical_formula_sum 'Ce6 V2'
_cell_length_a 2.9863
_cell_length_b 10.1438
_cell_length_c 5.9416
_cell_angle_alpha 90.00
_cell_angle_beta 90.00
_cell_angle_gamma 90.00
_space_group_name_H-M_alt 'I m m 2'
_space_group_IT_number 44
loop_
_space_group_symop_operation_xyz
'x,y,z'
'-x,-y,z'
'-x,y,z'
'x,-y,z'
'x+1/2,y+1/2,z+1/2'
'-x+1/2,-y+1/2,z+1/2'
'-x+1/2,y+1/2,z+1/2'
'x+1/2,-y+1/2,z+1/2'
loop_
_atom_site_label
_atom_site_type_symbol
_atom_site_fract_x
_atom_site_fract_y
_atom_site_fract_z
_atom_site_occupancy
Ce1 Ce 0.0000 0.0000 0.0000 1
Ce2 Ce 0.0000 0.2456 0.7903 1
V1 V 0.0000 0.5000 0.9920 1
```

=====

Theoretical powder X-ray diffraction pattern
Compound: Sm5BS4
Radiation: Cu Kα X-rays
Structure: a crystal structure in Alexandria, relaxed with GGA-PBE
Lines closer than 0.1° are merged.

Atomic structure:
```
Sm5BS4
1.0
-4.4777 4.4777 2.8212
4.4777 -4.4777 2.8212
4.4777 4.4777 -2.8212
Sm B S
5 1 4
Direct
0.0000 0.0000 0.0000 Sm
0.2168 0.5936 0.8104 Sm
0.4064 0.2168 0.6231 Sm
0.5936 0.7832 0.3769 Sm
0.7832 0.4064 0.1896 Sm
0.5000 0.5000 0.0000 B
0.0968 0.3017 0.3985 S
0.3017 0.9032 0.2049 S
0.6983 0.0968 0.7951 S
0.9032 0.6983 0.6015 S
```

Principal peaks in the range 15° ≤ 2θ ≤ 90°, in order of rising 2θ:
Position (°2θ)  Rel. int.
27.31  1000
31.59  748
31.72  377
45.35  795
53.69  284
53.85  162
********

== Here it is ==
'x+1/2,y+1/2,z+1/2'
'-x+1/2,-y+1/2,z+1/2'
'-x+1/2,y+1/2,z+1/2'
'x+1/2,-y+1/2,z+1/2'
loop_
_atom_site_label
_atom_site_type_symbol
_atom_site_fract_x
_atom_site_fract_y
_atom_site_fract_z
_atom_site_occupancy
Ce1 Ce 0.0000 0.0000 0.0000 1
Ce2 Ce 0.0000 0.2456 0.7903 1
V1 V 0.0000 0.5000 0.9920 1
```

=====

Theoretical powder X-ray diffraction pattern
Compound: Sm5BS4
Radiation: Cu Kα X-rays
Structure: a crystal structure in Alexandria, relaxed with GGA-PBE
Lines closer than 0.1° are merged.

Atomic structure:
```
Sm5BS4
1.0
-4.4777 4.4777 2.8212
4.4777 -4.4777 2.8212
4.4777 4.4777 -2.8212
Sm B S
5 1 4
Direct